Exercise =
The reader should set down all of the entries further below exactly.

Listing =
~~~
83
Properties=species:S:1:pos:R:3 method="wB97M-V/def2-TZVPD" total_energy_ev=-81265.3727 gap_ha=0.229 total_charge=+1 homo_energy_ev=-8.8 e_above_lowest_kcal_mol=179.0
Ca -1.5104 0.0576 0.2858
C 1.7751 3.8737 -2.9013
C 1.0949 3.3100 -1.8107
N 1.4726 2.2169 -1.2082
C 2.5564 1.5556 -1.6646
C 3.2915 2.0151 -2.7865
C 2.8741 3.2211 -3.3889
C 4.3719 1.2486 -3.2657
C 4.6847 0.0647 -2.6630
C 3.9542 -0.4118 -1.5629
C 2.9261 0.3233 -1.0382
N 2.0201 -0.0899 0.0190
C 2.2507 -1.2260 0.9299
C 3.4432 -1.7842 1.2142
C 3.5388 -2.8705 2.1261
C 2.4767 -3.2432 2.8921
C 1.2362 -2.5795 2.8199
C 0.2515 -2.7505 3.7769
C -0.9897 -2.0987 3.9187
C -1.5433 -1.0472 3.2100
N -0.9358 -0.1511 2.4263
C 1.0186 -1.5755 1.7243
H 1.4405 4.8045 -3.3303
H 0.2069 3.7835 -1.4094
H 3.4320 3.6047 -4.2277
H 4.9135 1.5927 -4.1337
H 5.4970 -0.5402 -3.0326
H 4.1980 -1.3827 -1.1695
H 4.3600 -1.4382 0.7668
H 4.4903 -3.3654 2.2256
H 2.5913 -4.0377 3.6142
H 0.4359 -3.5386 4.4972
H -1.6479 -2.5343 4.6602
H -2.6128 -0.8760 3.3336
C -0.4605 1.0460 -5.2566
C 0.3134 0.1081 -4.3870
C 1.0812 -0.9079 -4.9527
C 1.7079 -1.8167 -4.1182
C 1.5875 -1.6553 -2.7510
C 0.8712 -0.5577 -2.2722
N 0.2211 0.2763 -3.0709
C 0.6689 -0.3902 -0.7968
C 1.9237 1.0303 0.9436
C 1.1814 0.9743 2.0366
C 0.4771 -0.2493 2.4853
C -0.0578 -1.9922 0.7551
N -0.0899 -1.3874 -0.3836
C -1.2802 -2.7347 1.0167
C -1.3780 -4.0136 1.5691
C -2.6214 -4.6121 1.6252
C -3.7328 -3.9256 1.1503
C -3.5623 -2.6531 0.6201
C -4.7196 -1.8545 0.1089
N -2.3643 -2.0890 0.5509
H 0.1674 1.4364 -6.0539
H -0.8533 1.8611 -4.6578
H -1.2910 0.5157 -5.7195
H 1.1523 -0.9955 -6.0253
H 2.2679 -2.6474 -4.5227
H 2.0308 -2.3601 -2.0616
H 2.5923 1.8557 0.7608
H 1.1972 1.8041 2.7295
H 0.7832 -0.3894 3.5387
H -0.4961 -4.5252 1.9155
H -2.7265 -5.6094 2.0236
H -4.7107 -4.3808 1.1713
H -5.5193 -2.5101 -0.2230
H -4.4038 -1.2154 -0.7199
H -5.1073 -1.2222 0.9108
O -2.7101 1.6642 0.4494
S -3.2008 1.9832 1.8267
C -4.3293 3.4110 1.5144
C -3.7226 4.6453 2.1614
C -2.2115 4.4790 2.0465
C -1.9193 3.0733 2.5427
H -5.3194 3.1713 1.8912
H -4.3621 3.4949 0.4281
H -4.0079 4.7095 3.2127
H -4.0705 5.5471 1.6594
H -1.6804 5.2281 2.6344
H -1.9045 4.5694 1.0027
H -2.0136 3.0062 3.6251
H -0.9597 2.6742 2.2198


14
Properties=species:S:1:pos:R:3 method="wB97M-V/def2-TZVPD" total_energy_ev=-8368.8334 gap_ha=0.341 total_charge=0 homo_energy_ev=-8.7 e_above_lowest_kcal_mol=102.6
C -1.6624 -0.2530 -0.4416
C -0.3077 0.4008 -0.1884
O -0.4099 1.5156 0.6968
C 0.6334 -0.5574 0.4921
C 2.0222 -0.3661 0.5508
O 3.1298 -0.7941 0.6275
H -2.3550 0.4664 -0.8989
H -1.5704 -1.1073 -1.1230
H -2.1013 -0.6015 0.5013
H 0.1119 0.7315 -1.1604
H -1.1545 2.0618 0.3901
H 1.1971 -1.1206 -0.6341
H 0.2828 -0.9508 1.4261
H 2.1841 0.5746 -0.2383


13
Properties=species:S:1:pos:R:3:nbo_charge:R:1 method="wB97M-V/def2-TZVPD" largest_force_ha_per_bohr=0.0281 gap_ev=7.75 energy_ha=-286.50547 charge=0 e_lumo_ev=0.58
N -1.066 -0.418 -0.678 -0.69
C 0.384 -0.660 -1.168 0.55
O 0.525 -1.215 -2.252 -0.68
C 1.209 -0.143 -0.204 -0.51
C 0.656 0.170 1.153 -0.47
C -0.640 0.756 0.699 -0.09
H -1.553 0.130 -1.387 0.40
H -1.556 -1.344 -0.745 0.42
H 2.229 0.070 -0.459 0.22
H 0.518 -0.673 1.851 0.20
H 1.322 0.891 1.655 0.24
H -0.469 1.765 0.282 0.22
H -1.561 0.670 1.252 0.19


(1)
4 unconnected molecules or ions with the total composition C17H42ClO10PS3. Source: OMol25; level of theory: ωB97M-V/def2-TZVPD.

Kohn-Sham gap: 9.30 eV
LUMO: 0.36 eV
SMILES: CC(C)CCP(Cl)C[C@@H](C)O.CCOS(C)(=O)=O.CCOS(C)(=O)=O.CCOS(C)(=O)=O
spin multiplicity: 1

Each atom is followed by the atoms it is bonded to, with distances in Å.
Element x y z (Å)
1 C 2.21 1.16 4.16  C2 1.528, H12 1.092, H13 1.094, H14 1.092
2 C 2.01 1.50 2.68  C1 1.528, C3 1.533, C4 1.534, H15 1.094
3 C 1.46 0.28 1.92  C2 1.533, H16 1.089, H17 1.093, H18 1.093
4 C 3.30 2.03 2.05  C2 1.534, C5 1.545, H19 1.098, H20 1.093
5 C 4.42 0.98 1.94  C4 1.545, P6 1.838, H21 1.092, H22 1.091
6 P 5.89 1.45 2.95  C5 1.838, Cl7 2.082, C8 1.847
7 Cl 6.97 -0.33 2.81  P6 2.082
~~~

Reply =
83
Properties=species:S:1:pos:R:3 method="wB97M-V/def2-TZVPD" total_energy_ev=-81265.3727 gap_ha=0.229 total_charge=+1 homo_energy_ev=-8.8 e_above_lowest_kcal_mol=179.0
Ca -1.5104 0.0576 0.2858
C 1.7751 3.8737 -2.9013
C 1.0949 3.3100 -1.8107
N 1.4726 2.2169 -1.2082
C 2.5564 1.5556 -1.6646
C 3.2915 2.0151 -2.7865
C 2.8741 3.2211 -3.3889
C 4.3719 1.2486 -3.2657
C 4.6847 0.0647 -2.6630
C 3.9542 -0.4118 -1.5629
C 2.9261 0.3233 -1.0382
N 2.0201 -0.0899 0.0190
C 2.2507 -1.2260 0.9299
C 3.4432 -1.7842 1.2142
C 3.5388 -2.8705 2.1261
C 2.4767 -3.2432 2.8921
C 1.2362 -2.5795 2.8199
C 0.2515 -2.7505 3.7769
C -0.9897 -2.0987 3.9187
C -1.5433 -1.0472 3.2100
N -0.9358 -0.1511 2.4263
C 1.0186 -1.5755 1.7243
H 1.4405 4.8045 -3.3303
H 0.2069 3.7835 -1.4094
H 3.4320 3.6047 -4.2277
H 4.9135 1.5927 -4.1337
H 5.4970 -0.5402 -3.0326
H 4.1980 -1.3827 -1.1695
H 4.3600 -1.4382 0.7668
H 4.4903 -3.3654 2.2256
H 2.5913 -4.0377 3.6142
H 0.4359 -3.5386 4.4972
H -1.6479 -2.5343 4.6602
H -2.6128 -0.8760 3.3336
C -0.4605 1.0460 -5.2566
C 0.3134 0.1081 -4.3870
C 1.0812 -0.9079 -4.9527
C 1.7079 -1.8167 -4.1182
C 1.5875 -1.6553 -2.7510
C 0.8712 -0.5577 -2.2722
N 0.2211 0.2763 -3.0709
C 0.6689 -0.3902 -0.7968
C 1.9237 1.0303 0.9436
C 1.1814 0.9743 2.0366
C 0.4771 -0.2493 2.4853
C -0.0578 -1.9922 0.7551
N -0.0899 -1.3874 -0.3836
C -1.2802 -2.7347 1.0167
C -1.3780 -4.0136 1.5691
C -2.6214 -4.6121 1.6252
C -3.7328 -3.9256 1.1503
C -3.5623 -2.6531 0.6201
C -4.7196 -1.8545 0.1089
N -2.3643 -2.0890 0.5509
H 0.1674 1.4364 -6.0539
H -0.8533 1.8611 -4.6578
H -1.2910 0.5157 -5.7195
H 1.1523 -0.9955 -6.0253
H 2.2679 -2.6474 -4.5227
H 2.0308 -2.3601 -2.0616
H 2.5923 1.8557 0.7608
H 1.1972 1.8041 2.7295
H 0.7832 -0.3894 3.5387
H -0.4961 -4.5252 1.9155
H -2.7265 -5.6094 2.0236
H -4.7107 -4.3808 1.1713
H -5.5193 -2.5101 -0.2230
H -4.4038 -1.2154 -0.7199
H -5.1073 -1.2222 0.9108
O -2.7101 1.6642 0.4494
S -3.2008 1.9832 1.8267
C -4.3293 3.4110 1.5144
C -3.7226 4.6453 2.1614
C -2.2115 4.4790 2.0465
C -1.9193 3.0733 2.5427
H -5.3194 3.1713 1.8912
H -4.3621 3.4949 0.4281
H -4.0079 4.7095 3.2127
H -4.0705 5.5471 1.6594
H -1.6804 5.2281 2.6344
H -1.9045 4.5694 1.0027
H -2.0136 3.0062 3.6251
H -0.9597 2.6742 2.2198


14
Properties=species:S:1:pos:R:3 method="wB97M-V/def2-TZVPD" total_energy_ev=-8368.8334 gap_ha=0.341 total_charge=0 homo_energy_ev=-8.7 e_above_lowest_kcal_mol=102.6
C -1.6624 -0.2530 -0.4416
C -0.3077 0.4008 -0.1884
O -0.4099 1.5156 0.6968
C 0.6334 -0.5574 0.4921
C 2.0222 -0.3661 0.5508
O 3.1298 -0.7941 0.6275
H -2.3550 0.4664 -0.8989
H -1.5704 -1.1073 -1.1230
H -2.1013 -0.6015 0.5013
H 0.1119 0.7315 -1.1604
H -1.1545 2.0618 0.3901
H 1.1971 -1.1206 -0.6341
H 0.2828 -0.9508 1.4261
H 2.1841 0.5746 -0.2383


13
Properties=species:S:1:pos:R:3:nbo_charge:R:1 method="wB97M-V/def2-TZVPD" largest_force_ha_per_bohr=0.0281 gap_ev=7.75 energy_ha=-286.50547 charge=0 e_lumo_ev=0.58
N -1.066 -0.418 -0.678 -0.69
C 0.384 -0.660 -1.168 0.55
O 0.525 -1.215 -2.252 -0.68
C 1.209 -0.143 -0.204 -0.51
C 0.656 0.170 1.153 -0.47
C -0.640 0.756 0.699 -0.09
H -1.553 0.130 -1.387 0.40
H -1.556 -1.344 -0.745 0.42
H 2.229 0.070 -0.459 0.22
H 0.518 -0.673 1.851 0.20
H 1.322 0.891 1.655 0.24
H -0.469 1.765 0.282 0.22
H -1.561 0.670 1.252 0.19


(1)
4 unconnected molecules or ions with the total composition C17H42ClO10PS3. Source: OMol25; level of theory: ωB97M-V/def2-TZVPD.

Kohn-Sham gap: 9.30 eV
LUMO: 0.36 eV
SMILES: CC(C)CCP(Cl)C[C@@H](C)O.CCOS(C)(=O)=O.CCOS(C)(=O)=O.CCOS(C)(=O)=O
spin multiplicity: 1

Each atom is followed by the atoms it is bonded to, with distances in Å.
Element x y z (Å)
1 C 2.21 1.16 4.16  C2 1.528, H12 1.092, H13 1.094, H14 1.092
2 C 2.01 1.50 2.68  C1 1.528, C3 1.533, C4 1.534, H15 1.094
3 C 1.46 0.28 1.92  C2 1.533, H16 1.089, H17 1.093, H18 1.093
4 C 3.30 2.03 2.05  C2 1.534, C5 1.545, H19 1.098, H20 1.093
5 C 4.42 0.98 1.94  C4 1.545, P6 1.838, H21 1.092, H22 1.091
6 P 5.89 1.45 2.95  C5 1.838, Cl7 2.082, C8 1.847
7 Cl 6.97 -0.33 2.81  P6 2.082